The voice of treason

As long as the intended meaning is conveyed and understood by the intended parties then check(que) the box on a successful communication. Language and spelling are tools that should evolve with society. I'd swap out "lazy bastards" with "efficient." I remember standing outside a pharmacy in my home town when I was

"To do two things at once is to do neither."
-Publilius Syrus (a long dead Assyrian)

1. I did say "ex." Only end to a relationship where I seriously contemplated a restraining order.

"all those damn periods are going to kill me by the end of the season."

As someone that owns a spine, I'm confused….impressed, but mostly confused.

Nerd is what you call someone who is not afraid to be into something at least mildly intellectual. It's also another word for boss. (Disclaimer: Should not be applied as a rule)

That's the thing, "we" know exactly where the reactions come from. Some men cling to a sense of superiority (or old-school masculinity) the way sailors cling to battered life rafts. As you've stated, you believe those behaviors are ingrained in the male psyche. We are supposed to grow wiser with age, which requires

Here's the concern I have. You equate laughing at all the men taking to twitter to whine about being left out of a tampon ad, with the supposed chipping away at the acceptable exchanges boys and men can have with one another. I'm guessing you've never been to war (or even played a lively game of Monopoloy) if that's

Gyne-know a good pun when I see one.

All the time? Is it my voice or Morgan Freeman's? Does it make you anxious? If you answered yes to any of these questions then I'll think you'll be fine.

I'm only here to recognize my doppelganger. You, with your use of concentric circles. Me with my use of a spider's web (albeit, difficult to recognize in thumbnail).

********
# 1
DFT (PBE) results for a relaxed K3NaSi3Ge2O12 crystal.

```
126
Lattice="9.074 0.000 0.000 -4.537 7.858 0.000 0.000 0.000 21.811" Properties=species:S:1:pos:R:3 pbc="T T T"
K 5.870 5.239 19.993
O 0.666 3.811 16.508
O 3.871 6.430 12.873
Na 4.537 2.619 7.270
Ge 4.537 2.619 4.028
O 5.440 1.328 16.208
O 7.504 0.137 1.967
O 6.107 2.756 20.143
Ge 0.000 0.000 18.569
Si 1.320 2.286 16.358
K 1.602 2.464 19.993
Ge 0.000 5.239 17.783
O 2.967 7.721 8.938
Si 2.639 5.239 19.993
O 1.570 0.137 12.873
O -1.570 5.102 1.668
O 3.633 6.567 19.844
K 3.204 0.000 16.358
O 3.633 1.328 5.303
O 3.871 1.191 20.143
K 6.139 0.155 19.993
O -0.904 6.530 5.602
Si 1.320 2.953 9.088
O -1.570 5.376 16.508
Si 3.217 5.572 5.453
O 3.483 6.569 4.162
O 5.203 1.191 9.237
O 3.947 6.300 6.743
Ge 0.000 5.239 11.298
O 0.590 6.796 7.798
O -0.666 6.667 12.573
K -1.333 2.619 1.818
O -1.054 3.949 18.703
K 1.333 2.619 12.723
Si -1.320 2.953 19.993
K 2.935 5.084 16.358
O -0.666 1.428 19.844
Ge 4.537 2.619 14.934
Ge 0.000 5.239 0.393
O -2.967 7.721 19.844
K 1.602 7.703 12.723
Ge 4.537 2.619 10.512
O -0.904 3.948 12.573
O 2.893 2.351 0.527
O 1.054 3.949 7.798
K 5.870 0.000 5.453
Si 6.434 0.000 16.358
O 2.893 7.590 15.068
O 0.666 1.428 8.938
Si 5.857 0.333 1.818
Na 4.537 2.619 18.176
O 5.203 4.047 16.208
O -0.666 3.811 5.602
O 6.180 2.351 11.433
Si 1.320 7.524 9.088
O 5.591 1.330 0.527
O 8.170 1.291 12.873
Ge 0.000 0.000 14.148
O 1.570 5.102 12.573
Si -2.639 5.239 9.088
K -2.935 5.084 5.453
O 5.126 4.177 0.527
K 2.935 0.155 9.088
K 2.935 5.394 1.818
Na 0.000 0.000 10.905
Si -3.217 5.572 16.358
O 0.590 1.557 15.068
O 7.430 0.268 17.648
O -3.483 6.569 15.068
O 1.570 5.376 5.602
Na 0.000 0.000 0.000
O 2.967 2.756 9.237
Si -1.320 7.524 19.993
O 5.591 3.909 3.108
O 5.126 1.062 3.108
O -0.590 6.796 18.703
O 3.633 3.910 20.143
Si 3.217 4.905 12.723
O -0.590 1.557 4.162
O 6.107 2.482 5.303
O 0.904 1.291 1.967
O 6.180 2.887 14.013
K -1.602 7.703 1.818
O 3.871 4.047 5.303
O 1.644 5.507 21.283
O -1.054 6.528 21.283
O 0.666 6.667 1.668
Si 3.217 0.333 12.723
O 0.904 6.530 16.508
Si 2.639 0.000 5.453
K 7.472 2.464 9.088
O 3.947 1.062 14.013
O 0.904 3.948 1.668
K -1.602 2.774 16.358
O 3.483 3.909 14.013
O 3.947 4.177 11.433
O 1.054 1.289 17.648
K 3.204 5.239 9.088
O -2.893 7.590 4.162
O 5.440 3.910 9.237
Si 7.176 2.619 12.723
O -0.590 3.681 21.283
O 5.203 6.430 1.967
O 5.126 6.300 17.648
Na 0.000 5.239 3.635
Na 0.000 5.239 14.541
Ge 4.537 2.619 21.418
O 0.590 3.681 10.378
O -1.644 4.971 7.798
Ge 0.000 0.000 7.663
Ge 0.000 0.000 3.242
O -3.633 6.567 8.938
Si 5.857 4.905 1.818
O 2.893 2.887 3.108
O 1.054 6.528 10.378
O -1.644 5.507 10.378
O 8.020 1.289 6.743
K -2.935 5.394 12.723
Ge 0.000 5.239 6.877
O 3.483 1.330 11.433
Si 1.897 2.619 1.818
O 1.644 4.971 18.703
O 1.644 0.268 6.743
O 2.967 2.482 16.208
Si -1.320 2.286 5.453
K 1.602 2.774 5.453
```

Calculated values
Volume ... 12.34 Å³ per atom
Calculated total energy ... -0.468 Ry per atom
ΔE_f ... -2494 meV/atom
********

I instinctively knew this existed.

• Data records, as found in the file:
-- begin --
Record 1
# PBE-GGA Cs2MnBi2S5, relaxed
# * total magnetic moment: 5.0 μB per formula unit
# * final energy: -4.686 eV per atom
data_Cs2MnBi2S5
_cell_length_a 16.041
_cell_length_b 4.190
_cell_length_c 18.472
_cell_angle_alpha 90.00
_cell_angle_beta 90.00
_cell_angle_gamma 90.00
_space_group_name_H-M_alt 'P n m a'
_space_group_IT_number 62
loop_
_space_group_symop_operation_xyz
'x,y,z'
'-x,-y,-z'
'-x+1/2,-y,z+1/2'
'x+1/2,y,-z+1/2'
'x+1/2,-y+1/2,-z+1/2'
'-x+1/2,y+1/2,z+1/2'
'-x,y+1/2,-z'
'x,-y+1/2,z'
loop_
_atom_site_label
_atom_site_fract_x
_atom_site_fract_y
_atom_site_fract_z
Cs1 0.007 0.250 0.124
Cs2 0.037 0.750 0.383
Mn1 0.208 0.250 0.854
Bi1 0.209 0.750 0.698
Bi2 0.248 0.750 0.016
S1 0.109 0.250 0.756
S2 0.136 0.750 0.561
S3 0.141 0.250 0.971
S4 0.183 0.750 0.149
S5 0.212 0.250 0.344


Record 2
# PBE-GGA CsBiO3, relaxed
# * total magnetic moment: 0.3 μB per formula unit
# * final energy: -4.878 eV per atom
data_CsBiO3
_cell_length_a 4.418
_cell_length_b 4.418
_cell_length_c 4.418
_cell_angle_alpha 90.00
_cell_angle_beta 90.00
_cell_angle_gamma 90.00
_space_group_name_H-M_alt 'P m -3 m'
_space_group_IT_number 221
_space_group_name_Hall '-P 4 2 3'
loop_
_atom_site_label
_atom_site_fract_x
_atom_site_fract_y
_atom_site_fract_z
Cs1 0.000 0.000 0.000
Bi1 0.500 0.500 0.500
O1 0.000 0.500 0.500


Record 3
# PBE-GGA Cs6Bi4O9, relaxed
# * final energy: -4.761 eV per atom
data_Cs6Bi4O9
_cell_length_a 8.352
_cell_length_b 10.198
_cell_length_c 12.488
_cell_angle_alpha 104.04
_cell_angle_beta 93.69
_cell_angle_gamma 92.24
_space_group_name_H-M_alt 'P -1'
_space_group_IT_number 2
loop_
_space_group_symop_operation_xyz
'x,y,z'
'-x,-y,-z'
loop_
_atom_site_label
_atom_site_fract_x
_atom_site_fract_y
_atom_site_fract_z
Cs1 0.059 0.263 0.259
Cs2 0.119 0.051 0.639
Cs3 0.122 0.864 0.057
Cs4 0.353 0.351 0.553
Cs5 0.382 0.539 0.137
Cs6 0.435 0.749 0.750
Bi1 0.114 0.432 0.852
Bi2 0.164 0.664 0.413
Bi3 0.360 0.144 0.928
Bi4 0.386 0.956 0.370
O1 0.060 0.436 0.684
O2 0.208 0.773 0.291
O3 0.209 0.975 0.856
O4 0.212 0.095 0.400
O5 0.244 0.223 0.069
O6 0.269 0.601 0.897
O7 0.291 0.281 0.823
O8 0.313 0.507 0.369
O9 0.397 0.879 0.514


Record 4
# PBE-GGA Cs3Bi2P3S12, relaxed
# * total magnetic moment: 0.0 μB per formula unit
# * final energy: -4.456 eV per atom
data_Cs3Bi2P3S12
_cell_length_a 18.545
_cell_length_b 6.974
_cell_length_c 19.282
_cell_angle_alpha 90.00
_cell_angle_beta 98.46
_cell_angle_gamma 90.00
_space_group_name_H-M_alt 'P 1 21/c 1'
_space_group_IT_number 14
loop_
_space_group_symop_operation_xyz
'x,y,z'
'-x,-y,-z'
'-x,y+1/2,-z+1/2'
'x,-y+1/2,z+1/2'
loop_
_atom_site_label
_atom_site_fract_x
_atom_site_fract_y
_atom_site_fract_z
Cs1 0.108 0.233 0.488
Cs2 0.236 0.723 0.632
Cs3 0.376 0.248 0.308
Bi1 0.072 0.690 0.291
Bi2 0.402 0.679 0.506
P1 0.117 0.209 0.697
P2 0.223 0.747 0.918
P3 0.462 0.249 0.104
S1 0.057 0.523 0.153
S2 0.061 0.041 0.166
S3 0.115 0.734 0.435
S4 0.116 0.174 0.805
S5 0.217 0.220 0.668
S6 0.217 0.695 0.812
S7 0.273 0.003 0.950
-- stop --
• End of the data records:

Thanks for the correction. Do you know if they still use those light up signs that face live audiences that prompt for laughter, applause, and the like?

While it's hardly the sole reason I never watched more than one episode + pieces, The Big Bang Theory's laugh track became the only thing I could hear. And the producers decided every other line was a good place to put them. If my memory serves me, Seinfeld was the only show I watched where the laugh track didn't

L-I-V-I-N (late to the party)

Hey, now. Let's keep it white…I mean light, I said LIGHT dammit!

"Are you not ENTERTAINED?"

I really enjoyed the pacing of that bit.

Formulaic plots are at the top of my list for reasons to stop watching. It's still a little premature to judge, but it makes me anxious. I'm looking forward to a villain Barry doesn't manage to defeat by the end of the episode, but he's got to get his feet under him (in a manner of speaking). The single episode

_Misplaced crystal structures_
-- begin --
This record from the Materials Project database describes crystalline Mn31Si11P at its relaxed geometry. The functional is PBE.

Output
Raw total energy, eV/cell: -355.5
Crystal system: trigonal
ΔE_f, eV per atom: -0.149

Lattice parameters (Å, degrees): 6.8459 6.8459 12.3692 90.00 90.00 120.00
Closest atoms and distances in Å follow each position.
Space group P3 (No. 143)
Symmetry-distinct sites (fractional):
Mn 0.0000 0.0000 0.0000 [1 per cell]  1 Mn 2.18
Mn 0.0000 0.0000 0.1760 [1 per cell]  1 Mn 2.18
Mn 0.0000 0.0000 0.5887 [1 per cell]  5 Si 2.41-2.59, 6 Mn 2.61-2.63
Mn 0.0204 0.3519 0.7833 [3 per cell]  3 Si 2.34-2.39, 1 P 2.41, 4 Mn 2.50-2.55
Mn 0.0363 0.6840 0.4880 [3 per cell]  7 Mn 2.50-2.61, 4 Si 2.50-2.65
Mn 0.0386 0.7072 0.2853 [3 per cell]  4 Si 2.40-2.59, 7 Mn 2.51-2.67
Mn 0.0565 0.3959 0.9886 [3 per cell]  3 Si 2.47-2.50, 7 Mn 2.50-2.69
Mn 0.3335 0.2941 0.8944 [3 per cell]  1 P 2.34, 3 Si 2.42-2.59, 6 Mn 2.51-2.62
Mn 0.3333 0.6667 0.1633 [1 per cell]  6 Mn 2.49-2.64, 4 Si 2.52-2.53
Mn 0.3333 0.6667 0.6620 [1 per cell]  4 Si 2.39-2.42, 6 Mn 2.50-2.62
Mn 0.3502 0.0264 0.3985 [3 per cell]  4 Si 2.32-2.44, 5 Mn 2.51-2.60
Mn 0.3536 0.3156 0.6919 [3 per cell]  7 Mn 2.50-2.67, 3 Si 2.50-2.65, 1 P 2.63
Mn 0.3964 0.0535 0.1924 [3 per cell]  3 Si 2.47-2.49, 7 Mn 2.49-2.67
Mn 0.6667 0.3333 0.0144 [1 per cell]  1 P 2.39, 3 Si 2.49, 6 Mn 2.50-2.62
Mn 0.6667 0.3333 0.5178 [1 per cell]  4 Si 2.40-2.42, 6 Mn 2.50-2.60
Si 0.0000 0.0000 0.3812 [1 per cell]  8 Mn 2.32-2.57
Si 0.0000 0.0000 0.7980 [1 per cell]  8 Mn 2.35-2.59
Si 0.0015 0.3526 0.5901 [3 per cell]  9 Mn 2.38-2.50
Si 0.3225 0.3186 0.0894 [3 per cell]  10 Mn 2.42-2.52
Si 0.3333 0.6667 0.3676 [1 per cell]  10 Mn 2.40-2.57
Si 0.3333 0.6667 0.8578 [1 per cell]  10 Mn 2.34-2.59
Si 0.6667 0.3333 0.3219 [1 per cell]  10 Mn 2.34-2.59
P 0.6667 0.3333 0.8214 [1 per cell]  7 Mn 2.34-2.41



This record from the Materials Project database describes crystalline Hf4GeSb7 at its relaxed geometry. The functional is PBE.

Output
Raw total energy, eV/cell: -78.4
Crystal system: monoclinic
ΔE_f, eV per atom: -0.532

Lattice parameters (Å, degrees): 7.3777 3.9764 9.5625 90.00 90.49 90.00
Closest atoms and distances in Å follow each position.
Space group Pm (No. 6)
Symmetry-distinct sites (fractional):
Hf 0.0000 0.0000 0.0000 [1 per cell]  9 Sb 2.97-3.29
Hf 0.0184 0.5000 0.5052 [1 per cell]  8 Sb 2.93-3.18, 1 Ge 3.08
Hf 0.5019 0.0000 0.8218 [1 per cell]  2 Ge 2.94, 7 Sb 2.95-3.10
Hf 0.5247 0.5000 0.3328 [1 per cell]  1 Ge 2.83, 7 Sb 3.00-3.13
Ge 0.6284 0.5000 0.6182 [1 per cell]  4 Sb 2.81-3.06, 4 Hf 2.83-3.08
Sb 0.1297 0.5000 0.2122 [1 per cell]  4 Hf 2.93-3.13, 4 Sb 2.93-3.15
Sb 0.1928 0.5000 0.8107 [1 per cell]  5 Hf 3.03-3.18, 2 Sb 3.24
Sb 0.3373 0.0000 0.5222 [1 per cell]  5 Hf 3.03-3.10, 2 Ge 3.06
Sb 0.3945 0.0000 0.1179 [1 per cell]  4 Sb 2.93-3.14, 4 Hf 2.95-3.11
Sb 0.6949 0.5000 0.0143 [1 per cell]  5 Hf 3.01-3.30, 2 Sb 3.14
Sb 0.8274 0.0000 0.3157 [1 per cell]  5 Hf 3.00-3.29, 2 Sb 3.15
-- stop --
_End of the crystal structures_

Does anyone else get hung up on little details like why the villains' clothes (and accessories - gotta have nice accessories) imbue the same powers as the villains themselves? Don't get me wrong, I don't want to see a hundred naked clones running around or discover the full extent of The Mist's baldness, but they at